
In Greece's January 25 elections, 388,000 people voted for the fascist, neo-Nazi party Golden Dawn. The election was largely fought as a contest of hope and solidarity against fear and austerity. Radical left party SYRIZA defeated right-wing establishment party New Democracy. SYRIZA placed first in the popular vote with 36% of votes, but the openly fascist party Golden Dawn took third place in the poll with 6.3%. This is significant for three reasons:
Tens of thousands gathered in the North Carolina capital of Raleigh on February 8 for what organisers called the largest civil rights rally in the South since the famous Selma march in 1965. The Mass Moral March has been held annually to protest the right-wing state government’s attacks on voting rights, education, the environment, healthcare and women’s rights.
He is an economist, academic, poet, blogger, video game consultant, libertarian Marxist, motorbike rider and accidental fashion icon. Now he’s the holder of possibly the most difficult job in the world: Greece’s finance minister. Meet Yanis Varoufakis, SYRIZA Prime Minister Alexis Tsipras’s right hand man and the key negotiator between Greece and its creditors. In downtown Athens, Varoufakis is well liked among the public. He is the definitive cosmopolitan, self-made man who sees himself as a citizen of Europe as much as Greece.
The huge multinational US oil corporation Texaco operated in Ecuador from 1964 until 1992 (Texaco merged with Chevron in 2001). The corporation poured 72 billion litres of oil waste and 45 million litres of crude oil over 2 million hectares of land in Santa Elena province — land which included the Amazon rainforest, rivers and agricultural land. Texaco just poured the oil into ground-connected pipes which just poured oil directly into the rivers and forests.
Political parties in El Salvador formally wrapped up their campaigns on February 25 ahead of local and legislative elections schedule for March 1, with polls showing the left-wing Farabundu Marti National Liberation Front (FMLN) ahead of right-wing rivals. Electors in Latin America's smallest country will head to the polls to elect mayors as well as representatives to the country's Legislative Assembly.
If history is any guide, it is reasonable to assume that Greece’s recently-elected left-wing SYRIZA government will be subjected to a foreign-backed destabilisation campaign and possible attempts to install a new right-wing authoritarian regime. There is a long history in Greece of the left being suppressed by the oligarchy collaborating with outside forces.
Crystal structures from another source follow:
DFT (GGA+U) results for Cr2O3 after structural relaxation.

abc: 9.758 9.881 9.987
angles: 89.09 80.38 86.22
Sites, in units of the cell vectors:
Cr  0.000  0.000  0.000
Cr  0.000  0.634  0.314
Cr  0.005  0.909  0.431
Cr  0.060  0.172  0.641
Cr  0.075  0.566  0.602
Cr  0.138  0.309  0.888
Cr  0.216  0.524  0.088
Cr  0.222  0.838  0.188
Cr  0.242  0.764  0.846
Cr  0.277  0.152  0.079
Cr  0.310  0.469  0.711
Cr  0.322  0.044  0.719
Cr  0.342  0.011  0.417
Cr  0.371  0.493  0.330
Cr  0.466  0.758  0.522
Cr  0.468  0.271  0.504
Cr  0.489  0.682  0.100
Cr  0.519  0.210  0.842
Cr  0.520  0.034  0.111
Cr  0.579  0.352  0.112
Cr  0.593  0.836  0.814
Cr  0.595  0.524  0.794
Cr  0.668  0.031  0.538
Cr  0.685  0.558  0.287
Cr  0.731  0.873  0.267
Cr  0.780  0.626  0.544
Cr  0.788  0.171  0.281
Cr  0.820  0.350  0.508
Cr  0.863  0.363  0.807
Cr  0.872  0.716  0.002
Cr  0.908  0.865  0.726
Cr  0.954  0.348  0.146
O  0.019  0.990  0.601
O  0.027  0.814  0.253
O  0.036  0.818  0.876
O  0.083  0.370  0.705
O  0.087  0.115  0.827
O  0.161  0.318  0.092
O  0.176  0.991  0.070
O  0.194  0.929  0.365
O  0.206  0.605  0.283
O  0.227  0.479  0.897
O  0.240  0.650  0.684
O  0.269  0.710  0.035
O  0.278  0.157  0.550
O  0.318  0.185  0.867
O  0.330  0.900  0.582
O  0.335  0.431  0.518
O  0.359  0.099  0.237
O  0.384  0.887  0.823
O  0.426  0.493  0.120
O  0.443  0.864  0.153
O  0.471  0.225  0.043
O  0.486  0.331  0.310
O  0.491  0.384  0.725
O  0.491  0.642  0.343
O  0.506  0.118  0.659
O  0.528  0.670  0.911
O  0.570  0.907  0.432
O  0.575  0.013  0.926
O  0.590  0.696  0.652
O  0.655  0.055  0.208
O  0.663  0.366  0.908
O  0.669  0.218  0.462
O  0.683  0.486  0.464
O  0.689  0.679  0.125
O  0.729  0.935  0.682
O  0.746  0.372  0.194
O  0.775  0.482  0.686
O  0.785  0.751  0.847
O  0.792  0.699  0.353
O  0.824  0.990  0.383
O  0.854  0.887  0.088
O  0.866  0.229  0.663
O  0.918  0.155  0.109
O  0.929  0.270  0.343
O  0.948  0.744  0.565
O  0.951  0.386  0.955
O  0.953  0.504  0.472
O  0.998  0.558  0.137

* total moment: 96.000 Bohr magnetons per cell
* calculated density: 4.26 g/cm³
* formation energy from the elements: -2.003 eV per atom

DFT (GGA+U) results for Cr2O after structural relaxation.

abc: 4.050 4.050 4.050
angles: 60.00 60.00 60.00
Sites, in units of the cell vectors:
Cr  0.250  0.250  0.250
Cr  0.750  0.750  0.750
O  0.000  0.000  0.000

* total moment: 9.767 Bohr magnetons per cell
* calculated density: 4.24 g/cm³
* formation energy from the elements: 0.007 eV per atom

DFT (GGA+U) results for Cr2O3 after structural relaxation.

abc: 7.314 5.137 5.300
angles: 90.00 90.00 90.00
Sites, in units of the cell vectors:
Cr  0.105  0.250  0.034
Cr  0.105  0.750  0.534
Cr  0.395  0.250  0.534
Cr  0.395  0.750  0.034
Cr  0.605  0.250  0.966
Cr  0.605  0.750  0.466
Cr  0.895  0.250  0.466
Cr  0.895  0.750  0.966
O  0.000  0.050  0.750
O  0.000  0.950  0.250
O  0.152  0.392  0.393
O  0.152  0.608  0.893
O  0.348  0.108  0.893
O  0.348  0.892  0.393
Back to the piece:
Fifteen police descended on the home of Socialist Party of Malaysia (PSM) general secretary S Arutchelvan (Arul) in Kajang, a suburban satellite of the capital city Kuala Lumpur, on February 19. They detained him under the Sedition Act for a statement he issued on behalf of the PSM after opposition leader Anwar Ibrahim’s conviction on a sodomy charge.
Support for the Greek government headed by radical left party SYRIZA is growing, new polls show. The polls also found high support for SYRIZA's negotiations with its creditors, which secured a deal to extend its loans package by four months. The deal came with significant concessions to the institutions that have imposed austerity on Greece, which led to strong criticisms from SYRIZA's Left Platform.
Radical candidate for mayor of Chicago Jesus Garcia finished in second place in the first round of the city’s election on February 24. Incumbent Rahm Emanuel, chief of staff for President Barak Obama from 2008-2010, failed to reach the 50%-plus-one threshold, so there will be a runoff election. The New York Times said: “It was a serious blow after a campaign in which Mr. Emanuel had a huge fundraising edge over lesser-known opponents, not to mention an in-person endorsement last week from President Obama in his adopted hometown.”
Tasmania bans fracking for five years The Tasmanian Liberal government will extend the ban on gas fracking until 2020 the minister for primary industries Jeremy Rockliff said on February 26. He said the ban was needed to protect the $1 billion a year agriculture industry and “protect Tasmania's reputation for producing fresh, premium and safe produce.” The move has been backed by the Tasmanian Farmers and Graziers' Association, Dairy Australia and Wine Tasmania as well as the Greens. RADICAL CANDIDATE CHALLENGES CHICAGO MAYOR
Tony Abbott as Captain Australia

Bellicose and racist jingoism is the last refuge of scoundrel Prime Minister Tony Abbott. His February 23 “National Security Statement” was blatant incitement of hatred, bigotry and suspicion against Australia's Muslim minority.

Greece’s new SYRIZA government submitted its list of proposed economic reforms to the Eurogroup (the finance ministers of eurozone nations) on February 23 as a precondition for its international creditors to approve a four-month loan extension. The deal was signed on February 20. With Greece’s existing loan arrangement expiring on February 28 and bankruptcy looming, a last-minute deal was finally agreed after three weeks of intense negotiations. The talks had been characterised by daily — sometimes hourly — twists and turns, claims and counterclaims, leaks and threats.